Have your kids ever announced, upon opening a gift, “I already have this!” or angrily declared, “This isn’t the one I wanted!” or simply burst into tears? (Ours have!) This kind of scene can cause great distress to the startled giver, great embarrassment to the hapless parent, and a general sense of looming dread around holiday time.
The urge is to lecture our kids about all the less-fortunate children in the world, or to punish them by suspending future gift-giving until they learn to show the proper attitude of gratitude. However appealing these tactics may seem, none of them tend to create the grateful child of our dreams.
As we head into the potentially hazardous season of gift exchange, now is a good time to start preparing children to be gracious gift recipients and head off hurt feelings and mortification. Here are some ideas to get you started:
1) Acknowledge feelings first
At a neutral time, talk with your kids about getting presents that are disappointing. You can share memories from your own childhood when you were disappointed, or even offended, by a present you received – the toy that was “too babyish,” or the sweater that was both itchy and ugly. Talk about how hard it is to be polite when you expect something wonderful and get something you don’t want. This is a good time (when your child is not in a state of emotional anguish) to point out that, after all, the gift giver was thinking of you and trying to please you, and it’s important not to make that person feel bad.
2) Practice through play
Calculated molecules, as found in the file:
~~~
# 1
The following is a quantum chemistry calculation of a cluster of 3 separate species, C37H55ClF2N6O2PS2 in total, from the OMol25 dataset.

XYZ file:
```
106
Properties=species:S:1:pos:R:3:forces:R:3:lowdin_charge:R:1
C 2.3659 2.2149 -1.3881 0.2 -0.2 0.3 -0.054
C 1.1773 1.4278 -0.8227 0.4 0.0 -0.5 -0.221
C 0.0451 2.3565 -0.4720 -0.1 0.2 -0.1 -0.254
F -0.1804 3.1908 -1.5897 0.0 -0.3 -0.2 -0.029
C -1.3442 1.8902 0.0695 0.1 -0.3 0.2 -0.142
C -2.5948 2.6513 -0.4474 0.2 0.3 0.4 -0.181
C -2.4586 4.1625 -0.6883 0.1 0.0 -0.3 -0.141
C -1.6271 4.8690 0.3857 -0.2 0.3 0.0 -0.218
C -2.0589 4.5846 1.8331 0.4 0.0 0.2 -0.518
S -0.6958 4.1173 2.9539 -0.1 -0.3 0.0 0.746
N -3.4522 1.9138 -1.5574 -0.8 -0.2 0.2 -0.199
S -4.9582 1.1820 -0.7826 0.2 0.1 -0.2 1.072
C -4.1082 2.9294 -2.4980 0.4 -0.5 -0.1 -0.451
O -4.9388 3.6493 -2.0782 0.1 0.2 0.1 0.182
N -3.6695 2.8804 -3.8458 -0.8 0.9 0.2 0.157
C -4.7299 2.5212 -4.7053 0.1 -0.3 0.1 -0.507
O -5.2897 1.4803 -4.6866 -0.1 0.3 0.1 0.207
F -4.9800 3.5027 -5.5560 0.0 -0.1 -0.3 0.179
C -2.8821 0.6138 -2.2009 0.8 -0.5 0.2 -0.196
C -2.2834 0.6116 -3.6289 -0.2 0.2 -0.3 -0.104
C -1.3376 1.6629 -4.2363 0.1 -0.2 -0.1 -0.134
C 0.0689 1.2473 -4.6130 -0.2 0.0 0.2 -0.221
C 0.8662 2.2194 -5.2010 0.0 0.3 0.0 -0.054
C 2.1260 1.9272 -5.6742 0.2 0.1 0.0 -0.074
C 2.6289 0.6434 -5.5494 0.3 0.0 -0.1 -0.081
C 1.8506 -0.3315 -4.9665 0.2 -0.4 0.0 -0.074
C 0.5766 -0.0364 -4.5131 -0.2 -0.1 0.2 -0.051
C -1.9599 -0.2086 -1.2088 0.1 0.7 0.0 -0.188
C -2.3328 -1.6756 -1.2436 0.0 0.2 -0.1 -0.198
C -1.3714 -2.6270 -1.5420 0.4 0.1 -0.1 -0.040
C -1.7092 -3.9598 -1.5683 0.3 -0.2 0.0 -0.035
C -3.0155 -4.3169 -1.3068 -0.2 -0.1 0.0 -0.119
N -3.9676 -3.4255 -1.0500 -0.1 0.0 0.0 0.093
C -3.6191 -2.1443 -1.0263 -0.2 -0.1 0.1 -0.112
C -1.6673 0.3828 0.2236 -0.3 -0.7 -0.6 -0.388
C -2.7961 0.1758 1.2713 -0.1 0.0 0.2 -0.222
C -2.4676 -0.1320 2.7385 -0.5 0.2 0.2 -0.277
C -3.7333 0.1164 3.5596 0.0 -0.6 -0.3 -0.570
Cl -3.8584 1.8186 4.0398 -0.1 0.3 0.0 0.599
P -0.2252 -0.5747 0.9138 0.7 0.4 0.7 0.823
N 0.6390 0.1318 2.0147 -0.4 -0.1 -0.1 -0.231
H 2.4201 3.2181 -0.9679 0.0 0.1 -0.1 0.083
H 2.3495 2.2560 -2.4656 -0.1 0.3 -0.3 0.061
H 3.2862 1.7109 -1.1015 0.1 0.0 0.0 0.083
H 0.8965 0.6689 -1.5489 -0.1 0.0 -0.1 0.086
H 1.5384 0.9379 0.0756 -0.2 0.0 0.2 0.069
H 0.4537 3.0114 0.2979 0.0 0.1 0.0 0.120
H -1.3333 2.2382 1.1062 0.1 0.1 0.1 0.091
H -3.2666 2.6227 0.3969 -0.2 -0.3 0.0 0.077
H -3.4427 4.6209 -0.6686 -0.2 -0.1 0.1 0.116
H -2.0383 4.3871 -1.6666 0.1 0.0 0.0 0.118
H -1.7766 5.9341 0.2146 0.1 0.1 -0.1 0.125
H -0.5662 4.7129 0.2316 0.0 -0.2 0.0 0.081
H -2.5461 5.4508 2.2662 -0.2 0.0 0.0 0.073
H -2.7385 3.7397 1.9168 -0.2 0.1 0.0 0.026
H 0.2650 4.7898 2.3224 0.2 0.2 0.0 -0.133
H -5.2422 2.2493 -0.0221 -0.1 0.1 -0.1 -0.043
H -3.2901 3.7934 -4.0924 0.0 0.0 0.0 0.174
H -3.7751 0.0172 -2.3580 -0.2 0.0 0.1 0.084
H -1.8085 -0.3607 -3.7036 0.0 -0.2 0.2 0.104
H -3.1419 0.5289 -4.2889 0.1 -0.1 -0.1 0.100
H -1.7987 1.9487 -5.1819 0.0 0.1 -0.1 0.120
~~~
Prepare for the big moment by playing the “Present Giving Game.” Your child can find something thoroughly unappealing to wrap and give to you — a rock, a spoon, a cup of dirt. Now your challenge is to unwrap it and say something nice. “Oh, look at this beautiful rock. It’s so hard and smooth, I’ll use it as a paperweight.” Or, “Wow, what a shiny spoon. I can’t wait to stir my tea with it.” Or, “This dirt is just what I need to plant my flower seeds.” Now reverse the challenge and wrap something icky for your child to open.
Here’s a variation on the theme — you can give a “terrible” response: “Oh no, not another dirty tissue; I already have so many of these.” “That’s not my favorite color; why didn’t you buy me green mittens?” “I hate this kind of broken crayon. You wasted your money!” “Ok, thanks. What else did you get me?” Your child can have a laugh at your expense and then she can instruct you on what you should have said.
3) Adjust your expectations of your child
## Attached: molecular data
Record 1
A structure of composition C25H27BrN3OSe2Ti at a distorted geometry, computed with ωB97M-V/def2-TZVPD.

Its energy above the lowest of the compared OMol25 structures with the same formula, charge and spin is 0.5396 eV. The orbital gap (spin up / spin down) comes out at 6.2 / 6.2 eV. As for the total charge: +1. The highest occupied orbital energy (spin up / spin down) is -9.908 / -9.908 eV. The value obtained for the total energy is -256726.8198 eV.

Geometry as XYZ:
```
60
Properties=species:S:1:pos:R:3:forces:R:3
Ti -0.894895 -0.625612 0.819884 -0.75 -0.36 1.23
C -1.689949 -1.599668 -3.212477 0.08 0.11 -0.02
C -0.813989 -0.401797 -2.929745 -0.12 -0.10 -0.09
C -1.368702 0.751054 -2.362451 0.12 -0.05 -0.15
C -0.618988 1.916763 -2.225997 0.01 -0.02 -0.01
C -1.234479 3.164939 -1.648699 0.02 -0.06 -0.06
C 0.704704 1.909361 -2.663355 0.02 0.02 -0.08
C 1.290942 0.768476 -3.199744 0.11 0.06 -0.04
C 2.725384 0.785193 -3.674759 -0.16 0.04 -0.01
C 0.517381 -0.383927 -3.320134 0.01 -0.06 -0.08
H -2.386559 -1.794406 -2.396218 -0.01 0.00 0.02
H -1.095881 -2.495002 -3.406475 -0.01 0.02 0.01
H -2.294189 -1.417600 -4.103891 0.01 0.00 0.02
H -2.419572 0.749535 -2.107830 0.03 0.06 0.06
H -2.129228 2.934303 -1.067295 0.03 0.00 -0.02
H -1.523235 3.854076 -2.445074 0.00 0.00 0.02
H -0.528035 3.692628 -1.004306 -0.01 0.00 -0.02
H 1.298306 2.815473 -2.569991 -0.05 -0.06 -0.02
H 3.182263 -0.202093 -3.596213 -0.01 0.00 -0.01
H 3.326263 1.491516 -3.100919 0.00 0.00 -0.01
H 2.780320 1.086817 -4.722750 -0.01 0.00 0.01
H 0.957150 -1.274310 -3.763206 -0.03 0.03 0.01
Se -2.326555 -1.661337 2.963685 0.43 -0.02 -0.39
Se -3.479841 -0.460883 0.126082 0.25 -0.23 -0.24
C -3.112325 1.098401 1.062299 0.39 0.10 -0.09
C -4.031943 2.092661 1.398503 0.11 0.12 0.08
C -3.583327 3.183626 2.100752 0.07 0.10 0.07
C -2.231921 3.271995 2.475770 -0.26 0.22 0.06
C -1.384465 2.261529 2.133268 -0.03 -0.39 -0.07
N -1.808511 1.185276 1.424602 -0.23 0.32 0.02
C -1.770527 -3.079062 1.908991 0.03 0.18 -0.01
C -1.800656 -4.436138 2.277525 -0.11 0.02 -0.18
C -1.537421 -5.379341 1.324295 0.05 -0.10 -0.12
C -1.239082 -4.983848 0.002531 -0.05 -0.25 0.12
C -1.138225 -3.656436 -0.272743 -0.07 0.27 0.20
N -1.339194 -2.703130 0.680296 0.21 -0.23 -0.19
H -5.066098 1.988252 1.104449 0.00 -0.04 -0.02
H -4.275321 3.972666 2.370695 0.06 -0.02 0.01
H -1.856834 4.114985 3.038558 -0.05 -0.01 -0.01
H -0.346810 2.277963 2.431434 0.00 -0.08 -0.02
H -2.069076 -4.702575 3.289675 -0.01 0.02 -0.01
H -1.577657 -6.431032 1.579956 0.00 0.02 -0.04
H -1.088438 -5.709607 -0.784113 0.00 -0.01 0.05
H -0.913942 -3.306683 -1.271620 -0.01 0.06 0.02
O 5.162197 -1.292461 -1.207230 -0.08 -0.03 -0.02
C 3.868224 -1.186517 -0.893961 0.24 0.03 -0.01
C 2.952499 -2.229046 -0.983536 0.00 -0.10 -0.06
C 1.653155 -1.987755 -0.617447 -0.06 0.00 0.07
N 1.196804 -0.801851 -0.175188 -0.39 0.03 0.11
C 2.096576 0.184091 -0.125169 -0.08 0.28 -0.09
Br 1.521268 1.909179 0.392423 0.13 -0.15 0.13
C 3.420963 0.053465 -0.457935 0.06 0.09 0.03
Try to reduce the frenzy of anticipation. Living with shiny, wrapped presents under the tree for days can be too much for some youngsters. A child’s imagination can go wild trying to guess what is in that box. The reality often cannot measure up. All the wondrous possibilities suddenly disappear! Some young children do better when given an unwrapped gift, or when told ahead of time what they are going to get. This may take some of the “magic” out of gift giving, but remind yourself that your child’s ability to handle anticipation and appreciate surprises will blossom with age.
Another way to take the pressure off of gift giving is to emphasize special activities such as cookie baking, games or making holiday crafts. Eight nights of Hanukkah gift giving can cause the strongest among us to buckle. Many families have found relief in declaring some nights to be gift giving nights, other nights to be Hanukkah themed song, story and game nights, and other nights to be special food nights (grating spuds for the ceremonial potato latkes!)
Even very young children can start to see themselves as givers instead of just receivers by making gifts for other people in their family. You’ll need to break out the glitter glue, the feathers and the pipe cleaners. Then you can model the behavior you hope to see in the future from your child. “Ooh, look at this sparkly spiral! I’m going to put it next to my bed, so it makes me happy when I open my eyes in the morning.”
It’s challenging for little kids to navigate the emotional drama of gift exchange. It’s not a moral failing on their part, or on the part of their parents, when they don’t get it right. They just need to learn, and with time and compassion from us, they will.
(c) Faber and King 2016